== To do ==
Reproduce only the lines underneath with the word "are" in them, please.
== Excerpt ==
1.
NiB4 GGA-PBE relaxed; total DFT energy (no corrections) = -63.4 eV/cell; space-group type = Cm; energy of formation from the pure elements = 161 meV/atom; mass density = 4.397 g/cm³; N(E_F) = 2.18 states/eV/f.u.
1.0
-2.156 -2.874 4.372
2.537 -1.068 0.549
1.907 5.030 0.974
Ni B
2 8
Cartesian
0.946 -0.321 2.181 Ni
0.631 2.728 2.393 Ni
2.047 1.763 1.145 B
1.350 1.586 4.024 B
-0.175 -0.218 0.384 B
-0.872 -0.395 3.262 B
0.647 -0.010 4.167 B
-1.575 -1.991 3.405 B
-0.889 0.430 4.947 B
-0.574 -2.619 4.734 B

***

2.
HoBi2O6 GGA-PBE relaxed; total DFT energy (no corrections) = -56.4 eV/cell; space-group type = I4/mmm; uncorrected formation energy = -153 kJ/mol of atoms; mass density = 9.458 g/cm³; N(E_F) = 2.55 states/eV/f.u.
1.0
-3.128 0.277 -2.186
1.760 -1.970 -2.767
-2.138 -6.107 5.633
O Bi Ho
6 2 1
Cartesian
-1.463 -6.760 1.238 O
-0.531 -4.462 0.194 O
-2.042 -1.040 -0.558 O
0.402 -2.163 -0.849 O
-2.975 -3.338 0.485 O
-3.907 -5.637 1.528 O
-1.908 -4.701 2.134 Bi
-1.598 -3.099 -1.455 Bi
0.000 0.000 0.000 Ho

~~~~~

The following is a DFT calculation (GGA-PBE) of ZrTaSeN2 after structural relaxation.

Its energy above the most stable polymorph in this dataset is 0.00 eV/f.u. The calculation puts the magnetic moment at 0.3 μB/f.u. For the calculated volume, the calculation gives 82.6 Å³ per cell. The formation energy without anion corrections comes out at -0.16 eV per atom.

The space group is P4/mmm (No. 123) and the conventional cell measures 4.024, 4.024 and 5.101 Å, with angles of 90.00, 90.00 and 90.00 degrees. The distinct sites, in fractional coordinates, are Zr at (0.000, 0.000, 0.000), Ta at (0.500, 0.500, 0.500), Se at (0.500, 0.500, 0.000) and N at (0.000, 0.500, 0.500).

=====

The following is a DFT calculation (GGA-PBE) of Tb3SeN2 after structural relaxation.

The calculation puts the magnetic moment at 0.3 μB/f.u. For the calculated volume, the calculation gives 470.8 Å³ per cell. The formation energy without anion corrections comes out at -1.52 eV per atom.

The space group is Cmcm (No. 63) and the conventional cell measures 3.768, 12.830 and 9.739 Å, with angles of 90.00, 90.00 and 90.00 degrees. The distinct sites, in fractional coordinates, are Tb at (0.000, 0.061, 0.250), Tb at (0.000, 0.381, 0.064), Se at (0.000, 0.257, 0.750), N at (0.000, 0.000, 0.000) and N at (0.000, 0.469, 0.250).

=====

The following is a DFT calculation (GGA-PBE) of TbSeN after structural relaxation.

Its energy above the most stable polymorph in this dataset is 0.00 eV/f.u. The calculation puts the magnetic moment at 0.0 μB/f.u. For the calculated volume, the calculation gives 276.8 Å³ per cell. The formation energy without anion corrections comes out at -1.19 eV per atom.

The space group is P2_1/c (No. 14) and the conventional cell measures 8.580, 4.037 and 8.224 Å, with angles of 90.00, 103.68 and 90.00 degrees. The distinct sites, in fractional coordinates, are Tb at (0.166, 0.244, 0.417), Se at (0.183, 0.750, 0.171) and N at (0.440, 0.070, 0.485).

=====

The following is a DFT calculation (GGA-PBE) of Tb3Se2N after structural relaxation.

Its energy above the most stable polymorph in this dataset is 0.00 eV/f.u. The calculation puts the magnetic moment at 0.0 μB/f.u. For the calculated volume, the calculation gives 259.1 Å³ per cell. The formation energy without anion corrections comes out at -1.65 eV per atom.

The space group is I4/mmm (No. 139) and the conventional cell measures 3.914, 3.914 and 16.914 Å, with angles of 90.00, 90.00 and 90.00 degrees. The distinct sites, in fractional coordinates, are Tb at (0.000, 0.000, 0.000), Tb at (0.000, 0.000, 0.364), Se at (0.000, 0.000, 0.172) and N at (0.000, 0.000, 0.500).

=====

The following is a DFT calculation (GGA-PBE) of Tb5Se5N2 after structural relaxation.

The calculation puts the magnetic moment at 0.0 μB/f.u. For the calculated volume, the calculation gives 536.4 Å³ per cell. The formation energy without anion corrections comes out at -1.67 eV per atom.
== Completed ==
The space group is P4/mmm (No. 123) and the conventional cell measures 4.024, 4.024 and 5.101 Å, with angles of 90.00, 90.00 and 90.00 degrees. The distinct sites, in fractional coordinates, are Zr at (0.000, 0.000, 0.000), Ta at (0.500, 0.500, 0.500), Se at (0.500, 0.500, 0.000) and N at (0.000, 0.500, 0.500).
The space group is Cmcm (No. 63) and the conventional cell measures 3.768, 12.830 and 9.739 Å, with angles of 90.00, 90.00 and 90.00 degrees. The distinct sites, in fractional coordinates, are Tb at (0.000, 0.061, 0.250), Tb at (0.000, 0.381, 0.064), Se at (0.000, 0.257, 0.750), N at (0.000, 0.000, 0.000) and N at (0.000, 0.469, 0.250).
The space group is P2_1/c (No. 14) and the conventional cell measures 8.580, 4.037 and 8.224 Å, with angles of 90.00, 103.68 and 90.00 degrees. The distinct sites, in fractional coordinates, are Tb at (0.166, 0.244, 0.417), Se at (0.183, 0.750, 0.171) and N at (0.440, 0.070, 0.485).
The space group is I4/mmm (No. 139) and the conventional cell measures 3.914, 3.914 and 16.914 Å, with angles of 90.00, 90.00 and 90.00 degrees. The distinct sites, in fractional coordinates, are Tb at (0.000, 0.000, 0.000), Tb at (0.000, 0.000, 0.364), Se at (0.000, 0.000, 0.172) and N at (0.000, 0.000, 0.500).